-- Brief --
The reader should search the notes further below for the word "without" and quote each line that has it.
-- Input --
+++
BeAuSN2: optimized geometry, PBE.

Summary:
Calculated volume, Å³/atom: 16.920
Formation energy without anion corrections, eV/atom: 1.1673
Crystal system: tetragonal
Total moment, μB/f.u.: 0.0

Lattice parameters (Å, degrees): 3.378 3.378 7.413 90.00 90.00 90.00
Sites, in units of the cell vectors:
N 0.000 0.500 0.000
N 0.500 0.000 0.000
Au 0.500 0.500 0.500
Be 0.000 0.000 0.000
S 0.000 0.000 0.500

=====

Version P
The following is a PBE calculation of an optimized crystal structure of Y2Ho2Tm, from Alexandria.

**Crystal system**: tetragonal
**Spin magnetization**: 0.0 μB per formula unit

Cell lengths 9.235, 9.235, 3.715 Å; angles 90.00, 90.00, 90.00 degrees
Fractional coordinates of all 10 atoms:
1 Y 0.171 0.329 0.000
2 Y 0.329 0.829 0.000
3 Y 0.671 0.171 0.000
4 Y 0.829 0.671 0.000
5 Ho 0.127 0.627 0.500
6 Ho 0.373 0.127 0.500
7 Ho 0.627 0.873 0.500
8 Ho 0.873 0.373 0.500
9 Tm 0.000 0.000 0.500
10 Tm 0.500 0.500 0.500

=====

Version Q
The following is a PBE calculation of an optimized crystal structure of Y2Ho2Tm, from Alexandria.

**Crystal system**: monoclinic
**Spin magnetization**: 0.0 μB per formula unit

Cell lengths 14.477, 7.099, 6.149 Å; angles 90.00, 98.09, 90.00 degrees
Fractional coordinates of all 20 atoms:
1 Y 0.102 0.125 0.117
2 Y 0.102 0.375 0.617
3 Y 0.301 0.625 0.853
4 Y 0.301 0.875 0.353
5 Y 0.699 0.125 0.647
6 Y 0.699 0.375 0.147
7 Y 0.898 0.625 0.383
8 Y 0.898 0.875 0.883
9 Ho 0.101 0.625 0.118
10 Ho 0.101 0.875 0.618
11 Ho 0.499 0.125 0.248
12 Ho 0.499 0.375 0.748
13 Ho 0.501 0.625 0.252
14 Ho 0.501 0.875 0.752
15 Ho 0.899 0.125 0.382
16 Ho 0.899 0.375 0.882
17 Tm 0.301 0.125 0.851
18 Tm 0.301 0.375 0.351
19 Tm 0.699 0.625 0.649
20 Tm 0.699 0.875 0.149

=====

Least stable: version P

=====

Version P
The following is a PBE calculation of an optimized crystal structure of Y3Ho6Tm, from Alexandria.

**Crystal system**: orthorhombic
**Spin magnetization**: 0.0 μB per formula unit

Cell lengths 9.001, 9.001, 8.854 Å; angles 90.00, 90.00, 117.64 degrees
Fractional coordinates of all 20 atoms:
1 Y 0.050 0.950 0.500
2 Y 0.175 0.473 0.988
3 Y 0.473 0.175 0.488
4 Y 0.527 0.825 0.988
5 Y 0.825 0.527 0.488
6 Y 0.950 0.050 0.000
7 Ho 0.029 0.322 0.639
8 Ho 0.196 0.312 0.314
9 Ho 0.218 0.782 0.744
10 Ho 0.312 0.196 0.814
11 Ho 0.322 0.029 0.139
12 Ho 0.447 0.553 0.626
13 Ho 0.553 0.447 0.126
14 Ho 0.678 0.971 0.639
15 Ho 0.688 0.804 0.314
16 Ho 0.782 0.218 0.244
17 Ho 0.804 0.688 0.814
18 Ho 0.971 0.678 0.139
19 Tm 0.280 0.720 0.377
20 Tm 0.720 0.280 0.877

=====

Version Q
The following is a PBE calculation of an optimized crystal structure of Y3Ho6Tm, from Alexandria.

**Crystal system**: orthorhombic
**Spin magnetization**: 0.0 μB per formula unit

Cell lengths 10.946, 10.946, 6.136 Å; angles 90.00, 90.00, 119.72 degrees
Fractional coordinates of all 20 atoms:
1 Y 0.109 0.891 0.500
2 Y 0.222 0.439 0.110
3 Y 0.439 0.222 0.610
4 Y 0.561 0.778 0.110
5 Y 0.778 0.561 0.610
6 Y 0.891 0.109 0.000
7 Ho 0.038 0.460 0.706
8 Ho 0.117 0.212 0.537
9 Ho 0.212 0.117 0.037
10 Ho 0.217 0.783 0.929
11 Ho 0.451 0.549 0.640
12 Ho 0.460 0.038 0.206
13 Ho 0.540 0.962 0.706
14 Ho 0.549 0.451 0.140
15 Ho 0.783 0.217 0.429
16 Ho 0.788 0.883 0.537
17 Ho 0.883 0.788 0.037
18 Ho 0.962 0.540 0.206
19 Tm 0.291 0.709 0.422
20 Tm 0.709 0.291 0.922

=====

Least stable: version Q

=====

Version P
The following is a PBE calculation of an optimized crystal structure of Y2HoTm7, from Alexandria.

**Crystal system**: monoclinic
**Spin magnetization**: 0.0 μB per formula unit

Cell lengths 15.021, 15.021, 3.466 Å; angles 90.10, 90.10, 156.75 degrees
Fractional coordinates of all 10 atoms:
1 Y 0.208 0.792 0.000
2 Y 0.792 0.208 0.000
3 Ho 0.000 0.000 0.500
4 Tm 0.147 0.345 0.769
5 Tm 0.310 0.690 0.500
6 Tm 0.345 0.147 0.769
7 Tm 0.500 0.500 0.000
8 Tm 0.655 0.853 0.231
9 Tm 0.690 0.310 0.500
10 Tm 0.853 0.655 0.231

=====

Version Q
The following is a PBE calculation of an optimized crystal structure of Y2HoTm7, from Alexandria.
+++
-- Worked solution --
Formation energy without anion corrections, eV/atom: 1.1673